### Listing
<<<
First-principles (GGA-PBE) data for a relaxed PmEuSb4 crystal, as listed in Alexandria.

Summary:
The calculation puts the total magnetization at 7.23 μB/f.u. As for the space group: F-43m (216). The calculation puts the raw formation energy at -0.333 eV/atom. The calculation puts the volume at 30.11 A^3/atom.

abc: 6.345 6.345 6.345
angles: 60.00 60.00 60.00
Last column: magnetic moment on the atom in μB.
Fractional positions:
Sb  0.625  0.625  0.126  -0.02
Sb  0.625  0.126  0.625  -0.02
Sb  0.625  0.625  0.625  -0.02
Sb  0.126  0.625  0.625  -0.02
Eu  0.000  0.000  0.000  6.90
Pm  0.250  0.250  0.250  0.10
>>>
### Exercise
Print only the last part of the block earlier on, starting with the line that has "space group:", please.
### Outcome
The calculation puts the total magnetization at 7.23 μB/f.u. As for the space group: F-43m (216). The calculation puts the raw formation energy at -0.333 eV/atom. The calculation puts the volume at 30.11 A^3/atom.

abc: 6.345 6.345 6.345
angles: 60.00 60.00 60.00
Last column: magnetic moment on the atom in μB.
Fractional positions:
Sb  0.625  0.625  0.126  -0.02
Sb  0.625  0.126  0.625  -0.02
Sb  0.625  0.625  0.625  -0.02
Sb  0.126  0.625  0.625  -0.02
Eu  0.000  0.000  0.000  6.90
Pm  0.250  0.250  0.250  0.10